**Input**
'''
No. 1
A plane-wave DFT calculation with PBE-GGA was carried out for crystalline Y3NbSiS5O24 at its relaxed geometry.

Lattice parameters (Å, degrees): 9.201 9.207 23.698 89.68 89.80 60.05
Space group P1 (No. 1)
Symmetry-distinct sites (fractional):
Y1 0.000 0.000 0.000 (multiplicity 1)
Y2 0.000 0.006 0.716 (multiplicity 1)
Y3 0.320 0.336 0.667 (multiplicity 1)
Y4 0.327 0.329 0.879 (multiplicity 1)
Y5 0.334 0.333 0.174 (multiplicity 1)
Y6 0.336 0.335 0.384 (multiplicity 1)
Y7 0.660 0.668 0.548 (multiplicity 1)
Y8 0.667 0.665 0.049 (multiplicity 1)
Y9 0.999 0.998 0.215 (multiplicity 1)
Nb1 0.658 0.677 0.345 (multiplicity 1)
Nb2 0.672 0.660 0.835 (multiplicity 1)
Nb3 0.999 0.994 0.499 (multiplicity 1)
Si1 0.044 0.333 0.775 (multiplicity 1)
Si2 0.373 0.673 0.444 (multiplicity 1)
Si3 0.674 0.950 0.444 (multiplicity 1)
S1 0.004 0.285 0.108 (multiplicity 1)
S2 0.005 0.719 0.606 (multiplicity 1)
S3 0.029 0.621 0.276 (multiplicity 1)
S4 0.278 0.002 0.606 (multiplicity 1)
S5 0.286 0.710 0.108 (multiplicity 1)
S6 0.346 0.028 0.277 (multiplicity 1)
S7 0.346 0.620 0.777 (multiplicity 1)
S8 0.387 0.944 0.940 (multiplicity 1)
S9 0.624 0.031 0.777 (multiplicity 1)
S10 0.625 0.345 0.276 (multiplicity 1)
S11 0.667 0.386 0.939 (multiplicity 1)
S12 0.710 0.002 0.108 (multiplicity 1)
S13 0.719 0.275 0.606 (multiplicity 1)
S14 0.945 0.669 0.939 (multiplicity 1)
S15 0.946 0.373 0.442 (multiplicity 1)
O1 0.005 0.791 0.266 (multiplicity 1)
O2 0.020 0.812 0.555 (multiplicity 1)
O3 0.027 0.182 0.057 (multiplicity 1)
O4 0.107 0.517 0.225 (multiplicity 1)
O5 0.113 0.524 0.932 (multiplicity 1)
O6 0.114 0.345 0.429 (multiplicity 1)
O7 0.119 0.379 0.721 (multiplicity 1)
O8 0.138 0.544 0.325 (multiplicity 1)
O9 0.149 0.315 0.831 (multiplicity 1)
O10 0.154 0.303 0.116 (multiplicity 1)
O11 0.163 0.556 0.608 (multiplicity 1)
O12 0.171 0.022 0.556 (multiplicity 1)
O13 0.183 0.790 0.057 (multiplicity 1)
O14 0.189 0.852 0.456 (multiplicity 1)
O15 0.202 0.979 0.658 (multiplicity 1)
O16 0.203 0.789 0.769 (multiplicity 1)
O17 0.204 0.000 0.267 (multiplicity 1)
O18 0.207 0.814 0.158 (multiplicity 1)
O19 0.219 0.959 0.945 (multiplicity 1)
O20 0.292 0.155 0.610 (multiplicity 1)
O21 0.304 0.542 0.116 (multiplicity 1)
O22 0.312 0.136 0.326 (multiplicity 1)
O23 0.322 0.542 0.828 (multiplicity 1)
O24 0.329 0.535 0.426 (multiplicity 1)
O25 0.371 0.110 0.934 (multiplicity 1)
O26 0.377 0.102 0.225 (multiplicity 1)
O27 0.387 0.514 0.727 (multiplicity 1)
O28 0.446 0.854 0.600 (multiplicity 1)
O29 0.454 0.691 0.101 (multiplicity 1)
O30 0.473 0.838 0.890 (multiplicity 1)
O31 0.478 0.700 0.388 (multiplicity 1)
O32 0.486 0.865 0.991 (multiplicity 1)
O33 0.490 0.640 0.497 (multiplicity 1)
O34 0.498 0.644 0.790 (multiplicity 1)
O35 0.501 0.858 0.287 (multiplicity 1)
O36 0.519 0.100 0.727 (multiplicity 1)
O37 0.520 0.376 0.225 (multiplicity 1)
O38 0.521 0.366 0.930 (multiplicity 1)
O39 0.525 0.128 0.426 (multiplicity 1)
O40 0.543 0.151 0.116 (multiplicity 1)
O41 0.547 0.311 0.325 (multiplicity 1)
O42 0.549 0.136 0.827 (multiplicity 1)
O43 0.553 0.289 0.611 (multiplicity 1)
O44 0.637 0.860 0.790 (multiplicity 1)
O45 0.644 0.486 0.990 (multiplicity 1)
O46 0.645 0.495 0.287 (multiplicity 1)
O47 0.657 0.858 0.497 (multiplicity 1)
O48 0.687 0.477 0.889 (multiplicity 1)
O49 0.692 0.852 0.100 (multiplicity 1)
O50 0.705 0.439 0.599 (multiplicity 1)
O51 0.705 0.818 0.387 (multiplicity 1)
O52 0.790 0.026 0.057 (multiplicity 1)
O53 0.794 0.198 0.266 (multiplicity 1)
O54 0.796 0.995 0.769 (multiplicity 1)
O55 0.809 0.168 0.555 (multiplicity 1)
O56 0.816 0.975 0.158 (multiplicity 1)
O57 0.818 0.195 0.657 (multiplicity 1)
O58 0.822 0.221 0.944 (multiplicity 1)
O59 0.833 0.456 0.391 (multiplicity 1)
O60 0.835 0.689 0.889 (multiplicity 1)
O61 0.847 0.509 0.793 (multiplicity 1)
O62 0.847 0.967 0.455 (multiplicity 1)
O63 0.854 0.452 0.100 (multiplicity 1)
O64 0.861 0.636 0.286 (multiplicity 1)
O65 0.862 0.694 0.598 (multiplicity 1)
O66 0.869 0.643 0.990 (multiplicity 1)
'''

**To do**
Please return the whole of the calculation results above character by character.

**Worked solution**
No. 1
A plane-wave DFT calculation with PBE-GGA was carried out for crystalline Y3NbSiS5O24 at its relaxed geometry.

Lattice parameters (Å, degrees): 9.201 9.207 23.698 89.68 89.80 60.05
Space group P1 (No. 1)
Symmetry-distinct sites (fractional):
Y1 0.000 0.000 0.000 (multiplicity 1)
Y2 0.000 0.006 0.716 (multiplicity 1)
Y3 0.320 0.336 0.667 (multiplicity 1)
Y4 0.327 0.329 0.879 (multiplicity 1)
Y5 0.334 0.333 0.174 (multiplicity 1)
Y6 0.336 0.335 0.384 (multiplicity 1)
Y7 0.660 0.668 0.548 (multiplicity 1)
Y8 0.667 0.665 0.049 (multiplicity 1)
Y9 0.999 0.998 0.215 (multiplicity 1)
Nb1 0.658 0.677 0.345 (multiplicity 1)
Nb2 0.672 0.660 0.835 (multiplicity 1)
Nb3 0.999 0.994 0.499 (multiplicity 1)
Si1 0.044 0.333 0.775 (multiplicity 1)
Si2 0.373 0.673 0.444 (multiplicity 1)
Si3 0.674 0.950 0.444 (multiplicity 1)
S1 0.004 0.285 0.108 (multiplicity 1)
S2 0.005 0.719 0.606 (multiplicity 1)
S3 0.029 0.621 0.276 (multiplicity 1)
S4 0.278 0.002 0.606 (multiplicity 1)
S5 0.286 0.710 0.108 (multiplicity 1)
S6 0.346 0.028 0.277 (multiplicity 1)
S7 0.346 0.620 0.777 (multiplicity 1)
S8 0.387 0.944 0.940 (multiplicity 1)
S9 0.624 0.031 0.777 (multiplicity 1)
S10 0.625 0.345 0.276 (multiplicity 1)
S11 0.667 0.386 0.939 (multiplicity 1)
S12 0.710 0.002 0.108 (multiplicity 1)
S13 0.719 0.275 0.606 (multiplicity 1)
S14 0.945 0.669 0.939 (multiplicity 1)
S15 0.946 0.373 0.442 (multiplicity 1)
O1 0.005 0.791 0.266 (multiplicity 1)
O2 0.020 0.812 0.555 (multiplicity 1)
O3 0.027 0.182 0.057 (multiplicity 1)
O4 0.107 0.517 0.225 (multiplicity 1)
O5 0.113 0.524 0.932 (multiplicity 1)
O6 0.114 0.345 0.429 (multiplicity 1)
O7 0.119 0.379 0.721 (multiplicity 1)
O8 0.138 0.544 0.325 (multiplicity 1)
O9 0.149 0.315 0.831 (multiplicity 1)
O10 0.154 0.303 0.116 (multiplicity 1)
O11 0.163 0.556 0.608 (multiplicity 1)
O12 0.171 0.022 0.556 (multiplicity 1)
O13 0.183 0.790 0.057 (multiplicity 1)
O14 0.189 0.852 0.456 (multiplicity 1)
O15 0.202 0.979 0.658 (multiplicity 1)
O16 0.203 0.789 0.769 (multiplicity 1)
O17 0.204 0.000 0.267 (multiplicity 1)
O18 0.207 0.814 0.158 (multiplicity 1)
O19 0.219 0.959 0.945 (multiplicity 1)
O20 0.292 0.155 0.610 (multiplicity 1)
O21 0.304 0.542 0.116 (multiplicity 1)
O22 0.312 0.136 0.326 (multiplicity 1)
O23 0.322 0.542 0.828 (multiplicity 1)
O24 0.329 0.535 0.426 (multiplicity 1)
O25 0.371 0.110 0.934 (multiplicity 1)
O26 0.377 0.102 0.225 (multiplicity 1)
O27 0.387 0.514 0.727 (multiplicity 1)
O28 0.446 0.854 0.600 (multiplicity 1)
O29 0.454 0.691 0.101 (multiplicity 1)
O30 0.473 0.838 0.890 (multiplicity 1)
O31 0.478 0.700 0.388 (multiplicity 1)
O32 0.486 0.865 0.991 (multiplicity 1)
O33 0.490 0.640 0.497 (multiplicity 1)
O34 0.498 0.644 0.790 (multiplicity 1)
O35 0.501 0.858 0.287 (multiplicity 1)
O36 0.519 0.100 0.727 (multiplicity 1)
O37 0.520 0.376 0.225 (multiplicity 1)
O38 0.521 0.366 0.930 (multiplicity 1)
O39 0.525 0.128 0.426 (multiplicity 1)
O40 0.543 0.151 0.116 (multiplicity 1)
O41 0.547 0.311 0.325 (multiplicity 1)
O42 0.549 0.136 0.827 (multiplicity 1)
O43 0.553 0.289 0.611 (multiplicity 1)
O44 0.637 0.860 0.790 (multiplicity 1)
O45 0.644 0.486 0.990 (multiplicity 1)
O46 0.645 0.495 0.287 (multiplicity 1)
O47 0.657 0.858 0.497 (multiplicity 1)
O48 0.687 0.477 0.889 (multiplicity 1)
O49 0.692 0.852 0.100 (multiplicity 1)
O50 0.705 0.439 0.599 (multiplicity 1)
O51 0.705 0.818 0.387 (multiplicity 1)
O52 0.790 0.026 0.057 (multiplicity 1)
O53 0.794 0.198 0.266 (multiplicity 1)
O54 0.796 0.995 0.769 (multiplicity 1)
O55 0.809 0.168 0.555 (multiplicity 1)
O56 0.816 0.975 0.158 (multiplicity 1)
O57 0.818 0.195 0.657 (multiplicity 1)
O58 0.822 0.221 0.944 (multiplicity 1)
O59 0.833 0.456 0.391 (multiplicity 1)
O60 0.835 0.689 0.889 (multiplicity 1)
O61 0.847 0.509 0.793 (multiplicity 1)
O62 0.847 0.967 0.455 (multiplicity 1)
O63 0.854 0.452 0.100 (multiplicity 1)
O64 0.861 0.636 0.286 (multiplicity 1)
O65 0.862 0.694 0.598 (multiplicity 1)
O66 0.869 0.643 0.990 (multiplicity 1)